== Contents ==
........
Diffraction record for LiMn7O12. The powder diffraction line list is theoretical, not measured: it uses DFT lattice parameters and positions (PBE+U) and Cu Kα X-rays.

Crystal structure
abc: 5.126 5.126 10.155
angles: 96.41 96.41 120.62
Positions (direct):
Li (0.000, 0.000, 0.000)
Mn (0.081, 0.420, 0.237)
Mn (0.136, 0.864, 0.500)
Mn (0.331, 0.669, 0.000)
Mn (0.477, 0.523, 0.500)
Mn (0.580, 0.919, 0.763)
Mn (0.653, 0.347, 0.000)
Mn (0.806, 0.194, 0.500)
O (0.043, 0.678, 0.110)
O (0.096, 0.177, 0.391)
O (0.214, 0.578, 0.609)
O (0.322, 0.957, 0.890)
O (0.374, 0.399, 0.102)
O (0.422, 0.786, 0.391)
O (0.513, 0.227, 0.598)
O (0.601, 0.626, 0.898)
O (0.712, 0.091, 0.114)
O (0.773, 0.487, 0.402)
O (0.823, 0.904, 0.609)
O (0.909, 0.288, 0.886)

Most intense lines, 10° ≤ 2θ ≤ 80°, in order of rising 2θ:
2θ = 17.93°, I = 78; 2θ = 19.94°, I = 28; 2θ = 20.73°, I = 23; 2θ = 24.03°, I = 37; 2θ = 36.32°, I = 20; 2θ = 37.48°, I = 21; 2θ = 42.26°, I = 100; 2θ = 44.49°, I = 44; 2θ = 62.73°, I = 23; 2θ = 63.34°, I = 26
........

== Job ==
Copy the rows further up from the first line to the one with "(0.043, 0.678," verbatim, please.

== Reply ==
Diffraction record for LiMn7O12. The powder diffraction line list is theoretical, not measured: it uses DFT lattice parameters and positions (PBE+U) and Cu Kα X-rays.

Crystal structure
abc: 5.126 5.126 10.155
angles: 96.41 96.41 120.62
Positions (direct):
Li (0.000, 0.000, 0.000)
Mn (0.081, 0.420, 0.237)
Mn (0.136, 0.864, 0.500)
Mn (0.331, 0.669, 0.000)
Mn (0.477, 0.523, 0.500)
Mn (0.580, 0.919, 0.763)
Mn (0.653, 0.347, 0.000)
Mn (0.806, 0.194, 0.500)
O (0.043, 0.678, 0.110)